**File:**
-- begin --
Calculated X-ray powder pattern of Cd3InBr7 for a wavelength of 1.5418 Å, from a cell relaxed with GGA-PBE.
Neutral-atom scattering factors, no anomalous dispersion.

Crystal structure
abc: 12.025 9.465 7.003
angles: 90.00 92.06 90.00
Space group C2/m (No. 12)
Symmetry-distinct sites (fractional):
Cd  0.000  0.000  0.000 (multiplicity 2)
Cd  0.000  0.202  0.500 (multiplicity 4)
In  0.000  0.500  0.000 (multiplicity 2)
Br  0.000  0.500  0.500 (multiplicity 2)
Br  0.126  0.211  0.190 (multiplicity 8)
Br  0.139  0.000  0.681 (multiplicity 4)

Top 6 peaks for 2θ = 10–80°, by angle:
(hkl), two_theta, d/Å, I (rel.)
2 0 0, 14.7, 6.008, 96.4
2 2 1, 27.4, 3.253, 100.0
2 0 -2, 29.1, 3.072, 60.6
0 4 0, 38.1, 2.364, 34.0
4 0 -2, 38.8, 2.321, 46.3
0 2 3, 43.2, 2.092, 28.0



Calculated X-ray powder pattern of La4CdIn12 for a wavelength of 1.5418 Å, from a cell relaxed with GGA-PBE.
Neutral-atom scattering factors, no anomalous dispersion.

Crystal structure
abc: 9.760 9.760 9.760
angles: 90.00 90.00 90.00
Space group Im-3m (No. 229)
Symmetry-distinct sites (fractional):
La  0.250  0.250  0.250 (multiplicity 8)
Cd  0.000  0.000  0.000 (multiplicity 2)
In  0.000  0.000  0.300 (multiplicity 12)
In  0.000  0.250  0.500 (multiplicity 12)

Top 6 peaks for 2θ = 10–80°, by angle:
(hkl), two_theta, d/Å, I (rel.)
2 2 2, 31.8, 2.817, 100.0
3 2 1, 34.4, 2.608, 12.7
4 0 0, 36.8, 2.440, 62.7
3 3 2, 43.5, 2.081, 12.3
4 4 0, 53.1, 1.725, 36.0
6 2 2, 63.2, 1.471, 28.9



Calculated X-ray powder pattern of Pa4Al12Au for a wavelength of 1.5418 Å, from a cell relaxed with GGA-PBE.
Neutral-atom scattering factors, no anomalous dispersion.

Crystal structure
abc: 8.706 8.706 8.706
angles: 90.00 90.00 90.00
Space group Im-3m (No. 229)
Symmetry-distinct sites (fractional):
Pa  0.250  0.250  0.250 (multiplicity 8)
Al  0.000  0.000  0.303 (multiplicity 12)
Al  0.000  0.250  0.500 (multiplicity 12)
Au  0.000  0.000  0.000 (multiplicity 2)

Top 6 peaks for 2θ = 10–80°, by angle:
(hkl), two_theta, d/Å, I (rel.)
2 0 0, 20.4, 4.353, 37.8
2 2 0, 29.0, 3.078, 100.0
2 2 2, 35.7, 2.513, 37.3
4 0 0, 41.5, 2.176, 36.1
4 2 2, 51.4, 1.777, 39.5
4 4 0, 60.1, 1.539, 23.1



Calculated X-ray powder pattern of HfBe17Ru for a wavelength of 1.5418 Å, from a cell relaxed with GGA-PBE.
Neutral-atom scattering factors, no anomalous dispersion.

Crystal structure
abc: 7.3682 7.3682 10.7039
angles: 90.00 90.00 120.00
Space group R3m (No. 160, hexagonal axes)
Symmetry-distinct sites (fractional):
Hf  0.0000  0.0000  0.0000 (multiplicity 3)
Be  0.0000  0.0000  0.5570 (multiplicity 3)
Be  0.0000  0.0000  0.7547 (multiplicity 3)
Be  0.0397  0.3662  0.3262 (multiplicity 18)
Be  0.1713  0.3427  0.1430 (multiplicity 9)
Be  0.1717  0.3434  0.4954 (multiplicity 9)
Be  0.1735  0.3470  0.8386 (multiplicity 9)
Ru  0.0000  0.0000  0.3256 (multiplicity 3)

Top 6 peaks for 2θ = 10–80°, by angle:
(hkl), two_theta, d/Å, I (rel.)
1 0 1, 16.2, 5.481, 78.4
0 1 2, 21.7, 4.101, 36.8
1 1 0, 24.2, 3.684, 100.0
1 1 3, 35.0, 2.563, 91.2
3 0 0, 42.5, 2.127, 32.2
3 0 3, 49.9, 1.827, 45.3



Calculated X-ray powder pattern of Nd2Sm2Te3 for a wavelength of 1.5418 Å, from a cell relaxed with GGA-PBE.
Neutral-atom scattering factors, no anomalous dispersion.

Crystal structure
abc: 9.381 9.381 9.381
angles: 90.00 90.00 90.00
Space group I2_13 (No. 199)
Symmetry-distinct sites (fractional):
Nd  0.073  0.073  0.073 (multiplicity 8)
Sm  0.179  0.321  0.679 (multiplicity 8)
Te  0.000  0.250  0.378 (multiplicity 12)

Top 6 peaks for 2θ = 10–80°, by angle:
(hkl), two_theta, d/Å, I (rel.)
3 1 0, 30.1, 2.967, 100.0
3 2 1, 35.8, 2.507, 67.2
4 2 2, 47.5, 1.915, 17.3
4 1 3, 49.5, 1.840, 22.5
6 1 1, 60.9, 1.522, 25.6
5 5 2, 74.3, 1.277, 15.1



Calculated X-ray powder pattern of Cs3CeBi2Te6 for a wavelength of 1.5418 Å, from a cell relaxed with GGA-PBE.
Neutral-atom scattering factors, no anomalous dispersion.

Crystal structure
abc: 8.141 14.100 9.313
angles: 90.00 106.95 90.00
Space group C2/m (No. 12)
-- stop --
**Activity:**
Could you set down the whole of the rows further above word for word?
**Result:**
Calculated X-ray powder pattern of Cd3InBr7 for a wavelength of 1.5418 Å, from a cell relaxed with GGA-PBE.
Neutral-atom scattering factors, no anomalous dispersion.

Crystal structure
abc: 12.025 9.465 7.003
angles: 90.00 92.06 90.00
Space group C2/m (No. 12)
Symmetry-distinct sites (fractional):
Cd  0.000  0.000  0.000 (multiplicity 2)
Cd  0.000  0.202  0.500 (multiplicity 4)
In  0.000  0.500  0.000 (multiplicity 2)
Br  0.000  0.500  0.500 (multiplicity 2)
Br  0.126  0.211  0.190 (multiplicity 8)
Br  0.139  0.000  0.681 (multiplicity 4)

Top 6 peaks for 2θ = 10–80°, by angle:
(hkl), two_theta, d/Å, I (rel.)
2 0 0, 14.7, 6.008, 96.4
2 2 1, 27.4, 3.253, 100.0
2 0 -2, 29.1, 3.072, 60.6
0 4 0, 38.1, 2.364, 34.0
4 0 -2, 38.8, 2.321, 46.3
0 2 3, 43.2, 2.092, 28.0



Calculated X-ray powder pattern of La4CdIn12 for a wavelength of 1.5418 Å, from a cell relaxed with GGA-PBE.
Neutral-atom scattering factors, no anomalous dispersion.

Crystal structure
abc: 9.760 9.760 9.760
angles: 90.00 90.00 90.00
Space group Im-3m (No. 229)
Symmetry-distinct sites (fractional):
La  0.250  0.250  0.250 (multiplicity 8)
Cd  0.000  0.000  0.000 (multiplicity 2)
In  0.000  0.000  0.300 (multiplicity 12)
In  0.000  0.250  0.500 (multiplicity 12)

Top 6 peaks for 2θ = 10–80°, by angle:
(hkl), two_theta, d/Å, I (rel.)
2 2 2, 31.8, 2.817, 100.0
3 2 1, 34.4, 2.608, 12.7
4 0 0, 36.8, 2.440, 62.7
3 3 2, 43.5, 2.081, 12.3
4 4 0, 53.1, 1.725, 36.0
6 2 2, 63.2, 1.471, 28.9



Calculated X-ray powder pattern of Pa4Al12Au for a wavelength of 1.5418 Å, from a cell relaxed with GGA-PBE.
Neutral-atom scattering factors, no anomalous dispersion.

Crystal structure
abc: 8.706 8.706 8.706
angles: 90.00 90.00 90.00
Space group Im-3m (No. 229)
Symmetry-distinct sites (fractional):
Pa  0.250  0.250  0.250 (multiplicity 8)
Al  0.000  0.000  0.303 (multiplicity 12)
Al  0.000  0.250  0.500 (multiplicity 12)
Au  0.000  0.000  0.000 (multiplicity 2)

Top 6 peaks for 2θ = 10–80°, by angle:
(hkl), two_theta, d/Å, I (rel.)
2 0 0, 20.4, 4.353, 37.8
2 2 0, 29.0, 3.078, 100.0
2 2 2, 35.7, 2.513, 37.3
4 0 0, 41.5, 2.176, 36.1
4 2 2, 51.4, 1.777, 39.5
4 4 0, 60.1, 1.539, 23.1



Calculated X-ray powder pattern of HfBe17Ru for a wavelength of 1.5418 Å, from a cell relaxed with GGA-PBE.
Neutral-atom scattering factors, no anomalous dispersion.

Crystal structure
abc: 7.3682 7.3682 10.7039
angles: 90.00 90.00 120.00
Space group R3m (No. 160, hexagonal axes)
Symmetry-distinct sites (fractional):
Hf  0.0000  0.0000  0.0000 (multiplicity 3)
Be  0.0000  0.0000  0.5570 (multiplicity 3)
Be  0.0000  0.0000  0.7547 (multiplicity 3)
Be  0.0397  0.3662  0.3262 (multiplicity 18)
Be  0.1713  0.3427  0.1430 (multiplicity 9)
Be  0.1717  0.3434  0.4954 (multiplicity 9)
Be  0.1735  0.3470  0.8386 (multiplicity 9)
Ru  0.0000  0.0000  0.3256 (multiplicity 3)

Top 6 peaks for 2θ = 10–80°, by angle:
(hkl), two_theta, d/Å, I (rel.)
1 0 1, 16.2, 5.481, 78.4
0 1 2, 21.7, 4.101, 36.8
1 1 0, 24.2, 3.684, 100.0
1 1 3, 35.0, 2.563, 91.2
3 0 0, 42.5, 2.127, 32.2
3 0 3, 49.9, 1.827, 45.3



Calculated X-ray powder pattern of Nd2Sm2Te3 for a wavelength of 1.5418 Å, from a cell relaxed with GGA-PBE.
Neutral-atom scattering factors, no anomalous dispersion.

Crystal structure
abc: 9.381 9.381 9.381
angles: 90.00 90.00 90.00
Space group I2_13 (No. 199)
Symmetry-distinct sites (fractional):
Nd  0.073  0.073  0.073 (multiplicity 8)
Sm  0.179  0.321  0.679 (multiplicity 8)
Te  0.000  0.250  0.378 (multiplicity 12)

Top 6 peaks for 2θ = 10–80°, by angle:
(hkl), two_theta, d/Å, I (rel.)
3 1 0, 30.1, 2.967, 100.0
3 2 1, 35.8, 2.507, 67.2
4 2 2, 47.5, 1.915, 17.3
4 1 3, 49.5, 1.840, 22.5
6 1 1, 60.9, 1.522, 25.6
5 5 2, 74.3, 1.277, 15.1



Calculated X-ray powder pattern of Cs3CeBi2Te6 for a wavelength of 1.5418 Å, from a cell relaxed with GGA-PBE.
Neutral-atom scattering factors, no anomalous dispersion.

Crystal structure
abc: 8.141 14.100 9.313
angles: 90.00 106.95 90.00
Space group C2/m (No. 12)